Compared to global equities' returns at over 12%, Canada's S&P/TSX Composite only returned 4.1% this year
- - -
Entry from Alexandria via LeMat-Bulk: an optimized crystal structure of Rb2LaNiI6 (PBE).

Calculated values
**SG**: I4/mmm, No. 139

Lattice parameters (Å, degrees): 8.4673 8.4673 8.4509 59.94 59.94 90.00
Fractional coordinates of all 10 atoms:
I 0.7368 0.7368 0.0000
La 0.0000 0.0000 0.0000
I 0.2641 0.2641 0.4718
I 0.7359 0.7359 0.5282
Rb 0.2500 0.7500 0.5000
Ni 0.5000 0.5000 0.0000
I 0.2632 0.2632 0.0000
I 0.7368 0.2632 0.0000
Rb 0.7500 0.2500 0.5000
I 0.2632 0.7368 0.0000

=====

Entry from Alexandria via LeMat-Bulk: an optimized crystal structure of La8NiRu3I4 (PBE).

Calculated values
**SG**: C2/m, No. 12

Lattice parameters (Å, degrees): 8.4013 9.6954 8.4019 115.68 120.00 90.00
Fractional coordinates of all 16 atoms:
La 0.7695 0.3176 0.0465
La 0.2709 0.3135 0.5418
La 0.7291 0.6865 0.4582
I 0.0000 0.0000 0.0000
La 0.2305 0.6824 0.9535
I 0.5000 0.0000 0.0000
La 0.2771 0.3176 0.0465
Ru 0.5000 0.5000 0.5000
Ru 0.0000 0.5000 0.5000
La 0.7229 0.6824 0.9535
La 0.7677 0.3167 0.5353
Ru 0.5000 0.5000 0.0000
I 0.5000 0.0000 0.5000
I 0.0000 0.0000 0.5000
Ni 0.0000 0.5000 0.0000
La 0.2323 0.6833 0.4647

=====

Entry from Alexandria via LeMat-Bulk: an optimized crystal structure of La6NiRu2I3 (PBE).

Calculated values
**SG**: C2/m, No. 12

Lattice parameters (Å, degrees): 7.2775 7.2775 8.6445 98.06 98.06 120.00
Fractional coordinates of all 12 atoms:
Ni 0.0000 0.0000 0.0000
I 0.5000 0.5000 0.5000
Ru 0.6666 0.3334 0.0000
I 0.8328 0.1672 0.5000
La 0.7228 0.7228 0.1845
La 0.4002 0.0616 0.1848
La 0.9384 0.5998 0.8152
I 0.1672 0.8328 0.5000
La 0.2772 0.2772 0.8155
Ru 0.3334 0.6666 0.0000
La 0.5998 0.9384 0.8152
La 0.0616 0.4002 0.1848

=====

Entry from Alexandria via LeMat-Bulk: an optimized crystal structure of La8Ni3RuI4 (PBE).

Calculated values
**SG**: C2/m, No. 12

Lattice parameters (Å, degrees): 8.4439 9.5736 8.3927 115.94 120.20 90.00
Fractional coordinates of all 16 atoms:
La 0.7756 0.3153 0.0442
I 0.5000 0.0000 0.0000
La 0.7314 0.6847 0.9558
Ni 0.0000 0.5000 0.5000
Ru 0.0000 0.5000 0.0000
I 0.0000 0.0000 0.5000
I 0.0000 0.0000 0.0000
La 0.7252 0.6809 0.4504
La 0.2686 0.3153 0.0442
La 0.7737 0.3142 0.5473
Ni 0.5000 0.5000 0.5000
I 0.5000 0.0000 0.5000
La 0.2748 0.3191 0.5496
La 0.2244 0.6847 0.9558
Ni 0.5000 0.5000 0.0000
La 0.2263 0.6858 0.4527

=====

Entry from Alexandria via LeMat-Bulk: an optimized crystal structure of La6Ni2SI3 (PBE).

Calculated values
**SG**: C2/m, No. 12

Lattice parameters (Å, degrees): 7.3701 7.3701 8.3187 98.46 98.46 120.04
Fractional coordinates of all 12 atoms:
La 0.5892 0.9352 0.8102
La 0.9352 0.5892 0.8102
S 0.0000 0.0000 0.0000
Ni 0.3328 0.6672 0.0000
I 0.8372 0.1628 0.5000
Ni 0.6672 0.3328 0.0000
La 0.2836 0.2836 0.8107
La 0.4108 0.0648 0.1898
La 0.0648 0.4108 0.1898
La 0.7164 0.7164 0.1893
I 0.1628 0.8372 0.5000
I 0.5000 0.5000 0.5000

=====

Entry from Alexandria via LeMat-Bulk: an optimized crystal structure of La8NiS3I4 (PBE).

Calculated values
**SG**: R-3m, No. 166
- - -

Canada equities have been underperforming in the market this year according to Myles Zyblock, chief investment strategist of Scotia Global Asset Management.
Canada’s S&P/TSX Composite, Canada’s primary benchmark index, ranked 60th in Bloomberg’s 92 “primary indexes.” Compared to other global equities which had delivered over 12% of returns, it only returned 4.1% this year to date.
What caused Canada’s lagging benchmark index performance?
With market capitalization weighted indexes performance often depending on their structure, Canada’s benchmark index performance this year can be attributed to its current sector weights.
60% of the S&P/TSX Composite Index was attributed to financials and resources such as energy and materials. Information Technology, Consumer Discretionary and Communication Services only took up 15%. The former had recently been out of favor with global investors while the latter took the helm of being global equity performance leaders this year.
In order to compete when it comes to returns, Canada needs the S&P 500, which is its US counterpart in the benchmark index, to continue rising as well as have its commodity prices to show more improvements than how it has been recently.
The growth of TSX’s earnings depended on the progress of financial and resource companies’ earnings. In the past 15 years, Canada’s equity market has been underperforming when compared to the US’ because the former’s earnings have not been keeping up with the pace set by the latter.
Zyblock explained that the variation when it comes to the annual returns that TSX has can be explained by the pace of gains in commodity prices annually as well as S&P 500’S rolling one-year returns. He asserted that the best environment for the Canadian equity market is if its commodity prices rally together with its US counterpart.
The state of Canada’s banks and commodity prices
With Canada’s banks having diversified focus over various business lines and geographies, an important part of their business is domestic mortgage lending. While the boom in housing over the last 20 years has contributed largely to its earnings, it is unlikely for it to repeat in the next 20 years.
Zyblock said that China might be an important curb when it comes to future demand in commodity prices, given that it is the world’s largest consumer of commodities. Since it will take time for their real estate overcapacity and capital spending programs to normalize, Zyblock speculated that it may represent an anchor in the pacing of future commodity demand growth.
Zyblock recommended that there should be a much more diversified approach when it comes to long-term investments spanning asset classes, geographies, and sectors.